Creator's Intentions | Archangel Michael via Natalie Glasson
(Golden Age of Gaia)
by Natalie Glasson
Deep blessings I, Archangel Michael, extend to your being as I come forth with the Angelic Kingdom to embrace you in love, peace and grace.
Today I wish to speak of the Creator’s intentions.
I first wish to remind you that everything that you are is born from the Creator – a source that is label-less, nameless, formless and in truth, cannot be described and yet, throughout the entire Universe of the Creator and your earthly reality, we see/sense and acknowledge expressions of the Creator in every moment – beautiful expressions – creative expressions.
我首先想提醒,你的一切都是從造物主誕生的—— 一個無標籤、無名、無形且事實上無法描述的源頭,然而,在造物主的整個宇宙和你們的塵世現實中,我們每時每刻都看到/感覺到並承認造物主的表達——美麗的表達——創造性的表達。
Each expression allows us to explore, to integrate with and to understand the Creator more fully. We recognize ourselves as the Creator and our goal is to remember that oneness that we hold with the Creator, as well as ourselves, as a source that is label-less, nameless, formless and in truth, cannot be described. And yet it is infinite, limitless, beautiful, powerful, and holds a direction and intention for growth and evolution.
**Here the text breaks off for data records:**
┌──
(1)
## Sm6HgGe2Te3 (GGA-PBE)

Data for a relaxed structure of Sm6HgGe2Te3.

```
Sm6HgGe2Te3
1.0
9.582 -2.168 0.000
9.582 2.168 0.000
-2.245 0.000 8.595
Sm Hg Ge Te
6 1 2 3
direct
0.008 0.008 0.257 Sm
0.327 0.327 0.433 Sm
0.331 0.331 0.895 Sm
0.669 0.669 0.105 Sm
0.673 0.673 0.567 Sm
0.992 0.992 0.743 Sm
0.500 0.500 0.000 Hg
0.166 0.166 0.332 Ge
0.834 0.834 0.668 Ge
0.164 0.164 0.832 Te
0.500 0.500 0.500 Te
0.836 0.836 0.168 Te
```

Fermi-level density of states	7.00	states/eV per cell
DFT total energy	-60.46	eV per cell


(2)
## SmTmHgGe (GGA-PBE)

Data for a relaxed structure of SmTmHgGe.

```
SmTmHgGe
1.0
7.312 0.000 0.000
0.000 7.312 0.000
0.000 0.000 7.312
Sm Tm Hg Ge
4 4 4 4
direct
0.000 0.000 0.000 Sm
0.000 0.500 0.500 Sm
0.500 0.000 0.500 Sm
0.500 0.500 0.000 Sm
0.000 0.000 0.500 Tm
0.000 0.500 0.000 Tm
0.500 0.000 0.000 Tm
0.500 0.500 0.500 Tm
0.250 0.250 0.250 Hg
0.250 0.750 0.750 Hg
0.750 0.250 0.750 Hg
0.750 0.750 0.250 Hg
0.250 0.250 0.750 Ge
0.250 0.750 0.250 Ge
0.750 0.250 0.250 Ge
0.750 0.750 0.750 Ge
```

Fermi-level density of states	13.34	states/eV per cell
formation energy	-0.539	eV per atom
DFT total energy	-65.06	eV per cell


(3)
## Sn2HgGe (GGA-PBE)

Data for a relaxed structure of Sn2HgGe.

```
Sn2HgGe
1.0
4.212 0.000 0.000
-2.106 3.648 0.000
0.000 0.000 21.110
Sn Hg Ge
6 3 3
direct
0.000 0.000 0.000 Sn
0.000 0.000 0.188 Sn
0.333 0.667 0.667 Sn
0.333 0.667 0.854 Sn
0.667 0.333 0.333 Sn
0.667 0.333 0.521 Sn
0.000 0.000 0.426 Hg
0.333 0.667 0.093 Hg
0.667 0.333 0.759 Hg
0.000 0.000 0.594 Ge
0.333 0.667 0.261 Ge
0.667 0.333 0.927 Ge
```

Fermi-level density of states	5.86	states/eV per cell
formation energy	0.123	eV per atom
E above lowest polymorph	26	meV/atom
DFT total energy	-37.30	eV per cell


(4)
## SnHg3Ge (GGA-PBE)

Data for a relaxed structure of SnHg3Ge.

```
SnHg3Ge
1.0
5.307 0.000 0.000
0.000 5.307 0.000
0.000 0.000 5.307
Sn Hg Ge
1 3 1
direct
0.000 0.000 0.000 Sn
0.000 0.500 0.500 Hg
0.500 0.000 0.500 Hg
0.500 0.500 0.000 Hg
0.500 0.500 0.500 Ge
```

Fermi-level density of states	2.89	states/eV per cell
formation energy	0.372	eV per atom
E above lowest polymorph	0	meV/atom
DFT total energy	-7.67	eV per cell


(5)
## Sn2Hg2Ge (GGA-PBE)

Data for a relaxed structure of Sn2Hg2Ge.

```
Sn2Hg2Ge
1.0
4.227 0.000 0.000
0.000 4.227 0.000
0.000 0.000 15.345
Sn Hg Ge
4 4 2
direct
0.000 0.500 0.250 Sn
0.000 0.500 0.750 Sn
0.500 0.000 0.250 Sn
0.500 0.000 0.750 Sn
0.000 0.000 0.092 Hg
0.000 0.000 0.908 Hg
0.500 0.500 0.408 Hg
0.500 0.500 0.592 Hg
0.000 0.000 0.500 Ge
0.500 0.500 0.000 Ge
```

Fermi-level density of states	6.04	states/eV per cell
formation energy	0.348	eV per atom
E above lowest polymorph	169	meV/atom
DFT total energy	-22.98	eV per cell


(6)
## Sn3HgGe (GGA-PBE)

Data for a relaxed structure of Sn3HgGe.

```
Sn3HgGe
1.0
5.420 0.000 0.000
0.000 5.420 0.000
0.000 0.000 5.420
Sn Hg Ge
3 1 1
direct
0.000 0.000 0.500 Sn
0.000 0.500 0.000 Sn
0.500 0.000 0.000 Sn
0.500 0.500 0.500 Hg
0.000 0.000 0.000 Ge
```
└──
每一種表達方式都讓我們能夠更全面地探索、融入和理解造物主。 我們承認自己是造物主,我們的目標是記住與造物主、以及我們自己的合一性,作為無標籤、無名、無形且真實的源頭,是無法描述的。然而它是無限的、美麗的、強大的,並且擁有成長和進化的方向與意圖。
'''
This record from Alexandria via LeMat-Bulk describes SmTmScSn after structural relaxation. The functional is PBE-GGA.

crystal system: cubic
DFT formation energy: -0.24 eV/atom
final energy: -5.12 eV/atom
space-group type: No. 216
total magnetization: 0.003 μB/f.u.

abc: 5.321 5.321 5.321
angles: 60.00 60.00 60.00
Fractional coordinates of all 4 atoms:
Sn  0.750  0.750  0.750
Sm  0.500  0.500  0.500
Tm  0.000  0.000  0.000
Sc  0.250  0.250  0.250
'''
As you remember your oneness with the Creator, you realize that every part of your body and being is naturally at one; united and in unison with the Creator. This acknowledgment begins to change and shift your own perspective of yourself, as well as your perspective of your surroundings. You realise that every action that you take, every thought and every experience, is an opportunity for you to express and explore the Creator more fully – as well as uniting in oneness with the Creator – thus gaining a deeper remembrance of all that is the Creator.
當你記住你與造物主的合一時,就會意識到身體和存在的每個部分都自然地合一; 與造物主團結一致。這種認識開始改變和改變你對自己的看法,以及你對周圍環境的看法。你意識到採取的每一個行動、每一個想法和每一次經歷,都是你更充分地表達和探索造物主的機會——以及與造物主合一的機會——從而對造物主的一切有更深刻的記憶。
When you begin to recognize yourself in this way, it allows you to realize how in synch you are with the Creator, with higher aspects of your being, with your body, your surroundings and other souls. There is a similarity between yourself and others that is such a sacred and pure truth. When the essence of the Creator is emanating from your being and is being allowed to be expressive and creative, you glow with radiance, with truth, with clarity, knowingness, grounding and understanding.
I, Archangel Michael, wish to invite you to focus your time upon blending your energy with the Creator. In recognising and remembering your oneness with the Creator. There are many ways that this can be explored. You may already hold a deep connection with the Creator and be able to bring the Creator’s energy forth through your being. If not, then ask within, during meditation or quiet time, to seek the essence, the truth of your being that is the essence and truth of the Creator.
As you ask of this, seek/search within you for an inspirational moment – a light, a color, a sensation or quality that connects you to the essence of Creator. Then nurture this with your breath, allowing the radiance of the Creator to fill your entire being.
當你提出這個問題時,請在內心尋找一個鼓舞人心的時刻—— 一種光、一種顏色、一種感覺或品質,將你與造物主的本質聯繫起來。然後用呼吸滋養祂,讓造物主的光芒充滿你的整個存在。
You may also ask to experience complete oneness with the Creator.
When you are experiencing oneness with the Creator, or are able to connect with the energy and vibration of the Creator within your being, then I, Archangel Michael, invite you to ask and seek for the Creator’s intention within your being.
This means the Creator has an intention for you as an expression of the Creator. This intention can be delivered through you. The intention is beyond limitations and boundaries, beyond beliefs and blocks. It is beyond your expectations and everything that you know, and even don’t know. It is beyond that which you wish and desire for your reality or your ascension.
The Creator’s intention is a pure expression that is uniquely for you and is unique for you to express. It will bring forth the purity of the Creator into your being and your reality. It may bring forth understanding and enlightenment. It will invite you to create an action or an experience in your reality that, when you achieve this, you know you are acting out the Creator’s intention and it will serve you at a higher level, and in truth, it will serve your entire being.
However, it may not necessarily be what you expect or wanted. It will be something that nurtures you, nourishes your being and your soul, and supports a greater unification with the Creator.
Imagine if every being on the Earth united their energy consciously with the Creator and asked to receive the Creator’s intention for their unique expression and existence upon the Earth, and then they express that intention in a way that was appropriate, in an action or an experience.
Imagine the high vibrations that would be anchored and grounded into the Earth and the atmosphere, into every being. There would be such an update and ascension within every being as well as a great fountain of enlightenment.
<<<
Record 1
Crystalline AlTcP at its relaxed geometry, computed with PBE.

Cell lengths 4.080, 4.080, 4.080 Å; angles 60.00, 60.00, 60.00 degrees
Fractional coordinates of all 3 atoms:
P 0.500 0.500 0.500
Tc 0.750 0.750 0.750
Al 0.000 0.000 0.000

Output
V ... 48.0 Å³/cell
Formation enthalpy at 0 K ... 0.03 eV/atom
Symmetry ... F-43m
DOS at the Fermi energy ... 2.197 states/eV/cell
Theoretical density ... 5.4 Mg/m³
Distance to the lowest polymorph of the same formula ... 0.5425 eV per atom


Record 2
Crystalline Zn3BiO3 at its relaxed geometry, computed with PBE.

Cell lengths 5.861, 5.861, 5.861 Å; angles 90.00, 90.00, 90.00 degrees
Fractional coordinates of all 14 atoms:
Zn 0.250 0.000 0.500
Zn 0.750 0.000 0.500
Zn 0.000 0.500 0.250
Zn 0.000 0.500 0.750
Zn 0.500 0.250 0.000
Zn 0.500 0.750 0.000
Bi 0.000 0.000 0.000
Bi 0.500 0.500 0.500
O 0.250 0.500 0.000
O 0.750 0.500 0.000
O 0.500 0.000 0.250
O 0.500 0.000 0.750
O 0.000 0.250 0.500
O 0.000 0.750 0.500

Output
V ... 201.4 Å³/cell
Formation energy without anion corrections ... -523 kJ/mol of formula units
Symmetry ... Pm-3n
DOS at the Fermi energy ... 7.152 states/eV/cell
Theoretical density ... 7.5 Mg/m³


Record 3
Crystalline PrYSn at its relaxed geometry, computed with PBE.

Cell lengths 4.654, 4.654, 8.678 Å; angles 90.00, 90.00, 90.00 degrees
Fractional coordinates of all 6 atoms:
Pr 0.000 0.500 0.850
Pr 0.500 0.000 0.150
Y 0.500 0.500 0.500
Y 0.000 0.000 0.500
Sn 0.000 0.500 0.233
Sn 0.500 0.000 0.767

Output
V ... 188.0 Å³/cell
Formation enthalpy at 0 K ... -0.60 eV/atom
Symmetry ... P4/nmm
DOS at the Fermi energy ... 9.692 states/eV/cell
Theoretical density ... 6.2 Mg/m³
Distance to the lowest polymorph of the same formula ... 0.0000 eV per atom


Record 4
Crystalline TaNiAgHg2 at its relaxed geometry, computed with PBE.

Cell lengths 4.882, 4.577, 4.882 Å; angles 90.00, 90.00, 90.00 degrees
Fractional coordinates of all 5 atoms:
Ni 0.000 0.000 0.000
Hg 0.000 0.000 0.500
Hg 0.500 0.000 0.000
Ag 0.500 0.500 0.500
Ta 0.000 0.500 0.000

Output
V ... 109.1 Å³/cell
Formation enthalpy at 0 K ... 0.74 eV/atom
Symmetry ... P4/mmm
DOS at the Fermi energy ... 3.673 states/eV/cell
Theoretical density ... 11.4 Mg/m³


Record 5
Crystalline Pm12Co5Bi3 at its relaxed geometry, computed with PBE.

Cell lengths 14.811, 14.811, 14.811 Å; angles 109.47, 109.47, 109.47 degrees
Fractional coordinates of all 80 atoms:
Bi 0.750 0.375 0.125
Bi 0.875 0.750 0.125
Bi 0.375 0.750 0.625
Bi 0.250 0.125 0.375
Bi 0.875 0.125 0.250
Bi 0.375 0.625 0.250
Bi 0.625 0.375 0.750
Bi 0.125 0.875 0.750
Bi 0.750 0.875 0.625
Bi 0.625 0.250 0.375
Bi 0.125 0.250 0.875
Bi 0.250 0.625 0.875
Co 0.125 0.375 0.250
Co 0.000 0.500 0.000
Co 0.000 0.000 0.000
Co 0.375 0.250 0.125
Co 0.500 0.000 0.500
Co 0.500 0.500 0.000
Co 0.125 0.750 0.375
Co 0.750 0.125 0.875
Co 0.750 0.625 0.375
Co 0.375 0.125 0.750
Co 0.625 0.875 0.250
Co 0.500 0.500 0.500
Co 0.500 0.000 0.000
Co 0.000 0.000 0.500
Co 0.250 0.375 0.625
Co 0.250 0.875 0.125
>>>
想像一下,高振動將被錨定並紮根於地球和大氣層,以及每個存在體中。 每個存在的內在都會有這樣的更新和提升,也會有一個偉大的啟蒙源泉。
Imagine that you achieve this every day or maybe once a week – you are bringing forth the oneness of the Creator into your physical reality. You are achieving a service that is your divine right but is also your purpose – a service for yourself and others that is immensely healing that aligns your being and supports limitations in flowing away.
想像一下,你每天或者每週一次都能實現這一目標——你正在將造物主的一體性帶入你的物質現實。你正在實現一項服務,這是你神聖的權利,也是你的目的—— 一項為你自己和他人提供的服務,它具有極大的治癒作用,可以調整你的存在並支持流走的限制。
This is a unity and a oneness with the Creator, a relationship that you can build and allow to develop, to serve your ascension and to serve the purpose of the Creator.
It is your divine right to be in oneness with the Creator and to allow that oneness to flow through your being as an expression, an action and an experience.
Enjoy this process of exploration, creativity and discovery, for it is time to strengthen and realise your connection with the Creator more fully.
I, Archangel Michael, am present with you to support you.
I thank you.
I am Archangel Michael.
傳導:Natalie Glasson